Naked Science Forum

On the Lighter Side => New Theories => Topic started by: DMBoie on 15/04/2007 23:06:54

Title: Cosmology, Perception, and the physics of Contemplation: Part A
Post by: DMBoie on 15/04/2007 23:06:54
Hi folks:

Crazy post? Perhaps... hopefully a little like a fox.  [;)]

Thanks for providing a forum
-Dave (DMBoie)

The article is interrupted by data records:
-- begin --
# Tl5In12Bi2
Theoretical X-ray powder pattern, a wavelength of 1.5418 Å. Input: a crystal structure in Alexandria, relaxed with GGA-PBE.
Neutral-atom scattering factors, no anomalous dispersion.

Most intense lines, 2θ = 15–90°, in order of rising 2θ:
| two_theta | d (Å) | I_rel |
| --- | --- | --- |
| 18.9 | 4.684 | 7 |
| 31.7 | 2.818 | 32 |
| 32.9 | 2.720 | 100 |
| 33.8 | 2.651 | 62 |
| 46.4 | 1.956 | 22 |
| 49.4 | 1.846 | 13 |
| 56.7 | 1.623 | 10 |
| 58.5 | 1.578 | 9 |
| 58.8 | 1.570 | 12 |
| 59.4 | 1.556 | 12 |
| 60.6 | 1.527 | 12 |
| 69.1 | 1.359 | 7 |

```
Tl5In12Bi2
1.0
9.5556 -5.4357 0.0000
9.5556 5.4357 0.0000
-1.4577 0.0000 5.4495
Tl In Bi
5 12 2
direct
0.0000 0.0000 0.0000
0.1961 0.1961 0.1606
0.3025 0.3025 0.7437
0.6975 0.6975 0.2563
0.8039 0.8039 0.8394
0.0480 0.5520 0.3011
0.0984 0.0984 0.5795
0.1654 0.6410 0.9064
0.3590 0.8346 0.0936
0.3988 0.3988 0.3241
0.4480 0.9520 0.6989
0.5520 0.0480 0.3011
0.6012 0.6012 0.6759
0.6410 0.1654 0.9064
0.8346 0.3590 0.0936
0.9016 0.9016 0.4205
0.9520 0.4480 0.6989
0.2633 0.7367 0.5000
0.7367 0.2633 0.5000
```

# RbNaS14
Theoretical X-ray powder pattern, a wavelength of 1.5418 Å. Input: a crystal structure in Alexandria, relaxed with GGA-PBE.
Neutral-atom scattering factors, no anomalous dispersion.

Most intense lines, 2θ = 15–90°, in order of rising 2θ:
| two_theta | d (Å) | I_rel |
| --- | --- | --- |
| 17.6 | 5.034 | 29 |
| 19.8 | 4.480 | 36 |
| 23.2 | 3.837 | 100 |
| 23.7 | 3.755 | 50 |
| 27.1 | 3.288 | 25 |
| 28.9 | 3.091 | 25 |
| 29.2 | 3.058 | 63 |
| 30.6 | 2.918 | 30 |
| 32.9 | 2.720 | 36 |
| 33.4 | 2.684 | 33 |
| 33.8 | 2.654 | 24 |
| 35.6 | 2.525 | 47 |

```
RbNaS14
1.0
-3.6647 7.5098 8.9593
3.6647 -7.5098 8.9593
3.6647 7.5098 -8.9593
Rb Na S
2 2 28
direct
0.3025 0.0525 0.2500
0.6975 0.9475 0.7500
0.0000 0.0000 0.5000
0.0000 0.5000 0.0000
0.0251 0.1808 0.3963
0.0251 0.6288 0.8443
0.0277 0.8709 0.1568
0.0684 0.6670 0.4014
0.2141 0.8709 0.3432
0.2343 0.3330 0.9014
0.2845 0.1808 0.6557
0.2845 0.6288 0.1037
0.2902 0.6051 0.6851
0.3311 0.4267 0.3642
0.3311 0.9669 0.9044
0.4200 0.6051 0.8149
0.4375 0.0331 0.8642
0.4375 0.5733 0.4044
0.5625 0.4267 0.5956
0.5625 0.9669 0.1358
0.5800 0.3949 0.1851
0.6689 0.0331 0.0956
0.6689 0.5733 0.6358
0.7098 0.3949 0.3149
0.7155 0.3712 0.8963
0.7155 0.8192 0.3443
0.7657 0.6670 0.0986
0.7859 0.1291 0.6568
0.9316 0.3330 0.5986
0.9723 0.1291 0.8432
0.9749 0.3712 0.1557
0.9749 0.8192 0.6037
```

# TiTlTeO6
Theoretical X-ray powder pattern, a wavelength of 1.5418 Å. Input: a crystal structure in Alexandria, relaxed with GGA-PBE.
Neutral-atom scattering factors, no anomalous dispersion.

Most intense lines, 2θ = 15–90°, in order of rising 2θ:
| two_theta | d (Å) | I_rel |
| --- | --- | --- |
| 19.4 | 4.584 | 15 |
| 25.8 | 3.453 | 100 |
| 33.9 | 2.647 | 29 |
| 39.6 | 2.277 | 8 |
| 43.1 | 2.101 | 23 |
| 48.9 | 1.864 | 33 |
| 55.9 | 1.645 | 23 |
| 56.3 | 1.634 | 11 |
| 60.6 | 1.528 | 10 |
| 67.3 | 1.391 | 8 |
| 77.2 | 1.236 | 10 |
| 77.5 | 1.231 | 9 |

```
TiTlTeO6
-- stop --

P.S. Moved post here from chat area...

If physics indeed seeks unitive understanding, then science must seemingly account for religious and mystical experience within a context that embraces what mystic experience has to teach - without sacrificing conceptual rigour... 

An abridged transcript from a Bohm-ian Dialog of two physics-minded perspectives... who nevertheless work toward embracing both mystical understanding and conceptual rigour...

The voice in bold text appears as a Socratic Mentor to the voice in plain text...

Part A of ABRIDGED DIALOG (note: the dubious term "forgiveness" in this post does not refer to the same concept used traditionally, and erroneously, by Christians - rather the term imples, in large part, letting go of greivances in process of moving toward acceptence of complete responsibility for one's own experience)


Apprentice (plain text): ...kinda’ seems hard to talk about some of science's blind spots; they seem largely “contextual” and jus’ ain’ part of the conventional dialog... ain’ what science says that seems off kilter; more like what she ain' sayin'... and since I ain recognized as a scientist, I don' know if I could effectively address these "blind spots" in any fashion that people could "hear..."

Mentor (bold text): David, dogs may be color-blind, but they can sense things that appear invisible to you, and give you a heads-up. So, where do you see our scientific blind spots highlighted in what ain’ being said?
Well, perhaps the largest error and blind spot in physics appears in the tendency to extrapolate data and theories well beyond what appears a sensible scope. In pursuing a Grand Unified Theory, science attempts to extrapolate human subjective power right out of our official picture of the world...

...Such that the vitality of people (latent, expressed, and repressed) appears minimized in potential and import.

Yes, in large part, pursuing a Grand Unified Theory involves the attempt to "find" Laws that govern the very small scales... "Laws" which might then predictively extend in application to "explain" the colossally large.  In the middle ground, the power of the human choice to forgive gets the squeeze, appearing subsumed and squelched... "caught between quarks and curved space."

What lies behind this scientific attempt to "predict" everything?

In part, ego-based fears seem involved. For starters, don't get fooled by the idea that the probabilities of quantum mechanics grant humanity sufficient room for practicing forgiveness. Scientific personalities themselves, for the most part, ain' drawn to that kind of thinking.

So where do we go from here...

How 'bout a roundabout introduction to the principle of "Conservation of Energy" - as violated by what Gary Renard calls "quantum forgiveness..."

That sounds a little far out there... Could we discuss a simpler example of how science tends to extrapolate and remain ignorant, or at least unwilling to question its own presumptions? Maybe we could work our way around "Conservation of Energy" and forgiveness that way...

OK.  As a first case, consider how physicists ascertain that the universe "must" now be expanding... some review might be appropriate... you remember witnessing how the pitch of a train horn goes up in frequency as it approaches the listener, and then drops as the train passes...

Yeah, in Newtonian physics, tha's the "Doppler effect..." the frequency of the horn's "sound" appears different to an observer who moves with respect to the train. As the train approaches, the pitch appears "artificially" elevated, and then when it passes and suddenly starts going away from the observer, the "effect" operates the other way...

...and so the person standing on the side of the tracks "hears" a sudden drop in pitch... meanwhile, on-board the train, as the theory goes, the horn would sound normal the entire time... constant pitch...

And when galaxies or stars move away from an observer, a similar phenomenon appears witnessed known as a "red-shift"...

OK. According to current models of space-time... perhaps somewhat inaccurate although they are the best we currently have... "red-shifts" can occur as a function of a distant light-source having a conventional velocity which increases the distance between the observer and the star or galaxy over time, or "red-shift" can occur as a function of the whole fabric of space-time stretching and expanding...

And judging by the fact that lights more distant in the sky appear to be receding faster then closer stars and galaxies scientists currently conclude, based on some assumptions, that the universe is expanding...


And you have found yourself asking, what are those assumptions...

One thought that came into awareness was that the red-shift "data points" physicists rely upon for their projections reflect the state of stars eons ago... I mean were talking billions of years in most cases... at least for this kind of data...
And the "further" a data point appears in the sky, the older it be... so scientists appear to be taking data from all over the space-time "map" and projecting it onto a template reflective of their biases... and numerous templates appear possible, including some that might account for the universe "shrinking," or at least having potential to do so...

And this kind of extrapolation has seemed presumptuous, from your perspective?

Well... there have been changes in the meantime... I mean, billions of years ago, supposedly our solar system had jus' begun evolving...

…so if a hypothetical human-like race in some far-distant galaxy were to assess the earth's condition "now," based on "measured astrological data" millions... or perhaps even billions of years old, their assessments of earth might seem distorted by the appearance of nothing but a big ol' ball 'o lava in the viewfinders of their advanced-imaging telescopes.


...and as physicists have said, based on Einstein's equations for general relativity, matter/energy, space, and time all appear related and interwoven... so if space can expand (and contract), then according to our current models something else must be changing as well...

Yes, an Unconscious reason some personalities in physics would like to pin down a fixed "Cosmological Constant" for Einstein's Metric Equations in General Relativity Theory and, thus, a corresponding constant rate of Universal expansion appears, again, somehow related to a fixation for "explanations" that minimize the possibility of awareness, or subjectivity, having any power to significantly alter "the Dream of Cosmos."

From where does science inherit this bias?

When Einstein expressed concern over the published results of the "EPR experiments" - experiements which confirmed theories of quantum entanglement, he complained that these results seemed to validate what he called "ghostly action at a distance."
In some measure, science appears as a protection against conscious recognition that the Magical Worldview we each experienced in childhood indeed does have veracity, and, in fact, has deeper roots than the worldview of science. Within context of a maturing Magical Worldview, aspects of Modern Science appear as a form a "black alchemy" where "the ends" are thought to justify "the means." The predominant attitude of many a hard-edged scientist might be summed up like this: "nothin' matters, and what if it did..."
Science's paradoxical pride in, and placing of value on, its very claim of being "value-free" - this amounts to a form of advanced Orwellian "double-speak," albeit unconsciously motivated and misunderstood. In dismissing philosophical questions of "value," scientific spokesmen gloss over what seems a deeply important issue - and in light of the fact that science has given humanity the power to incinerate whole cities, perhaps we might consider that the very concept of a "value-free" pursuit of "knowledge for its own sake" amounts to a diabolical contradiction in terms... for how we understand and experience the world appears constrained in no part greater than by the qualities of beingness we value.

Offered up as a rationalization for continuing on with a cold-edged "interrogation" of nature, scientific detachment as an end in and of itself really amounts to a choice of, and a vote for, continued emotional / intuitive numbness - a deliberate callousness laced with barely acknowledged aggressive tendencies.    

Science, as a collective enterprise, compulsively seeks to extend the ability to predictively man-handle the world remotely from within the Ivory Towers of the Intellect... when denied access to particle accelerators, biotech laboratories, and other scientific tools, the "playpen" of the intellectual shrinks to a desperately small size - and the psychoanalytic term "object-loss" can then seem far too tame a label to describe the intensity of consuming despair.

Does science have any authentic spiritual roots?      

Of Course.  Modern Science began in the crucible of Newtonian Observation... the observer who could sit back, contemplate nature, and align his ruminations with the rhythms of the Cosmos such that he might receive understanding.

Nowadays, the  mental vortex spins even faster, and many scientists don' seem to find their lives centered in contemplative stillness, but rather feel like they have to struggle jus' to keep afloat in a very competitive intellectual climate.

These days, egos' and arguments are tough and toughly fought within the Scientific Academy, and advanced science appears to have, in large part, devolved into a form of male heroics, a "grail quest" of denial where the violence we commit and are subject to in our daily comings and goings (usually verbal and emotional) "doesn't matter a whit," so long as we get our paper on cosmology, QED, "String-Thoery," or whatever written and published to rave reviews...

You hinted earlier that science appears as an extension of the collective "public" ego... are scientific attitudes mirrored in each of our private psyches?
Yes, in some measure, we are all little scientists in our own worlds. Sizing up the competition, addressing problems, and more authentically, opening our minds on occasion to larger perspectives and possibilities.

In general, the ego appears - in its "milder" forms - as a generally defensive orientation towards the World... and, in more virulent forms, as downright hostile (and even murderous) attitudes. Negative "ego-attitudes" appear embodied in the human organism as the habitual "ocular tension" studied by psychiatrist _________________.
Most of the time, people look at one another - their work - and even at the objects of their surround as if they were confronting a dubious problem, puzzle, or adversary of sorts. Science takes this dubious attitude toward the World to the extreme, and might even be said to have "sprung from" the general populations' coming further and further under sway of this worldly orientation.

How does one begin loosening the grip of this trap?

Spiritual practices like Meditation, Contemplation, and various "thought-replacement" strategies practiced by Buddhists (and now, students of A Course in Miracles) all manage to disengage subjectivity from identification with the ego's thought-stream - while concurently "teasing out" a relaxation of the human organisms' "ocular tensioning patterns" ...meaning the habitual tendency to "pull" a sharp, steely-eyed focus on the objects of perception.    
With disciplined spiritual practice, a softly warm "peripheral focus" develops, allowing for "the World" to come into (or out of) awareness as a holistic gestalt, rather then as a scrutinized "figure" against an ignored "ground..." - to use the jargon of Gestalt psychology.

I had been playing dangerously with alcohol consumption recently, and wonder how drug and alcohol intoxication play into all this. I have used them to "stuff the gap," as it were, though their abuse seems to "short circuit" any dawning spiritual awareness via a false promise of "Love in a Bottle."
Many drugs that folks use to "get high" seem to mimic the effects of disciplined spiritual practice... filtering out ego-based thoughts via a "forced" relaxation of our "ocular tension" and the linked association with "point-focus." With a few drinks, the world seems softer and our tendency to view it through problematic eyes wanes somewhat. Booze and drugs have well documented pit-falls of their own, and a temporarily "happy drunk" must come down from his artificial-high and "face the music..."
When people drink, they often do so to "shut off their minds" and quell unsociable, "crazy" thinking. The forced ocular relaxation provides a taste of what unitive experience feels like... a state devoid of "racing, crazy thoughts."

On the topic of thoughts, could you elaborate?

{Dialog Continued in Part B}